Listing:
┌──
No. 1
Structure and simulated powder XRD pattern of DyCd3In (the PBE geometry in Alexandria; Cu Kα X-rays).
Lines closer than 0.1° are merged.

Main lines, by angle (2θ from 10° to 80°):
2θ 31.77, I 31
2θ 33.67, I 100
2θ 35.24, I 26
2θ 35.59, I 27
2θ 36.33, I 90
2θ 36.90, I 51
2θ 48.75, I 24
2θ 67.79, I 28

Cell and atoms:
a = 15.9730 Å, b = 15.9730 Å, c = 3.3342 Å
α = 90.00°, β = 90.00°, γ = 162.46°
Atoms (fractional coordinates):
Dy 0.1778 0.8222 0.0000
Dy 0.8222 0.1778 0.0000
Cd 0.0783 0.9217 0.5000
Cd 0.2717 0.7283 0.5000
Cd 0.4544 0.5456 0.0000
Cd 0.5456 0.4544 0.0000
Cd 0.7283 0.2717 0.5000
Cd 0.9217 0.0783 0.5000
In 0.3655 0.6345 0.5000
In 0.6345 0.3655 0.5000

***

No. 2
Structure and simulated powder XRD pattern of Zn3AgIr (the PBE geometry in Alexandria; Cu Kα X-rays).
Lines closer than 0.1° are merged.

Main lines, by angle (2θ from 10° to 80°):
2θ 13.62, I 36
2θ 17.19, I 25
2θ 23.32, I 28
2θ 38.17, I 43
2θ 39.84, I 100
2θ 40.74, I 22
2θ 41.68, I 32
2θ 46.89, I 48

Cell and atoms:
a = 7.0818 Å, b = 7.0818 Å, c = 4.7118 Å
α = 90.00°, β = 90.00°, γ = 133.24°
Atoms (fractional coordinates):
Zn 0.0000 0.0000 0.0000
Zn 0.0000 0.0000 0.5000
Zn 0.0713 0.4054 0.2500
Zn 0.4054 0.0713 0.7500
Zn 0.5946 0.9287 0.2500
Zn 0.9287 0.5946 0.7500
Ag 0.3580 0.6420 0.7500
Ag 0.6420 0.3580 0.2500
Ir 0.1703 0.8297 0.2500
Ir 0.8297 0.1703 0.7500

***

No. 3
Structure and simulated powder XRD pattern of ZrMn3Rh4 (the PBE geometry in Alexandria; Cu Kα X-rays).
Lines closer than 0.1° are merged.

Main lines, by angle (2θ from 10° to 80°):
2θ 20.13, I 2
2θ 28.61, I 7
2θ 35.23, I 1
2θ 40.91, I 100
2θ 50.68, I 2
2θ 59.23, I 16
2θ 67.08, I 3
2θ 74.50, I 32

Cell and atoms:
a = 6.2398 Å, b = 6.2398 Å, c = 6.2398 Å
α = 90.00°, β = 90.00°, γ = 90.00°
Atoms (fractional coordinates):
Zr 0.0000 0.0000 0.0000
Zr 0.5000 0.5000 0.5000
Mn 0.0000 0.0000 0.5000
Mn 0.0000 0.5000 0.0000
Mn 0.0000 0.5000 0.5000
Mn 0.5000 0.0000 0.0000
Mn 0.5000 0.0000 0.5000
Mn 0.5000 0.5000 0.0000
Rh 0.2500 0.2500 0.2500
Rh 0.2500 0.2500 0.7500
Rh 0.2500 0.7500 0.2500
Rh 0.2500 0.7500 0.7500
Rh 0.7500 0.2500 0.2500
Rh 0.7500 0.2500 0.7500
Rh 0.7500 0.7500 0.2500
Rh 0.7500 0.7500 0.7500


Diffraction record for Rb2PbO2. The X-ray diffraction stick pattern is theoretical, not measured: it uses a GGA-PBE-relaxed structure and λ = 1.5418 Å (Cu Kα).
Lines closer than 0.1° are merged.

Largest 8 diffraction maxima, in order of falling intensity, 2θ = 15–90°:
- 2θ = 27.3°, rel. 100.0
- 2θ = 27.6°, rel. 89.5
- 2θ = 29.8°, rel. 85.1
- 2θ = 26.8°, rel. 78.5
- 2θ = 27.8°, rel. 78.4
- 2θ = 33.1°, rel. 77.5
- 2θ = 32.2°, rel. 69.2
- 2θ = 16.2°, rel. 45.6

Crystal structure
a = 7.744 Å, b = 8.000 Å, c = 10.648 Å
α = 85.19°, β = 70.30°, γ = 61.32°
Element x y z (fractional)
Rb (0.064, 0.451, 0.170)
Rb (0.076, 0.933, 0.176)
Rb (0.239, 0.269, 0.493)
Rb (0.398, 0.568, 0.858)
Rb (0.602, 0.432, 0.142)
Rb (0.761, 0.731, 0.507)
Rb (0.924, 0.067, 0.824)
Rb (0.936, 0.549, 0.830)
Pb (0.306, 0.703, 0.474)
Pb (0.402, 0.059, 0.875)
Pb (0.598, 0.941, 0.125)
Pb (0.694, 0.297, 0.526)
O (0.071, 0.213, 0.978)
O (0.195, 0.598, 0.355)
O (0.342, 0.484, 0.626)
O (0.496, 0.807, 0.005)
O (0.504, 0.193, 0.995)
O (0.658, 0.516, 0.374)
O (0.805, 0.402, 0.645)
O (0.929, 0.787, 0.022)

=====

Diffraction record for Zr4Si3Sb5. The X-ray diffraction stick pattern is theoretical, not measured: it uses a GGA-PBE-relaxed structure and λ = 1.5418 Å (Cu Kα).
Lines closer than 0.1° are merged.

Largest 8 diffraction maxima, in order of falling intensity, 2θ = 15–90°:
- 2θ = 38.8°, rel. 100.0
- 2θ = 34.5°, rel. 73.4
- 2θ = 31.0°, rel. 70.8
- 2θ = 32.9°, rel. 53.4
- 2θ = 47.2°, rel. 51.0
- 2θ = 62.7°, rel. 47.2
- 2θ = 39.0°, rel. 37.7
- 2θ = 57.6°, rel. 23.7

Crystal structure
a = 3.850 Å, b = 3.850 Å, c = 17.436 Å
α = 90.00°, β = 90.00°, γ = 90.00°
Element x y z (fractional)
Zr (0.000, 0.500, 0.121)
Zr (0.000, 0.500, 0.628)
Zr (0.500, 0.000, 0.372)
Zr (0.500, 0.000, 0.879)
Si (0.000, 0.000, 0.000)
Si (0.000, 0.000, 0.500)
└──

Wanted:
Find the line above that holds "0.9217 0.0783", then quote that line and all lines after it there.

Worked solution:
Cd 0.9217 0.0783 0.5000
In 0.3655 0.6345 0.5000
In 0.6345 0.3655 0.5000

***

No. 2
Structure and simulated powder XRD pattern of Zn3AgIr (the PBE geometry in Alexandria; Cu Kα X-rays).
Lines closer than 0.1° are merged.

Main lines, by angle (2θ from 10° to 80°):
2θ 13.62, I 36
2θ 17.19, I 25
2θ 23.32, I 28
2θ 38.17, I 43
2θ 39.84, I 100
2θ 40.74, I 22
2θ 41.68, I 32
2θ 46.89, I 48

Cell and atoms:
a = 7.0818 Å, b = 7.0818 Å, c = 4.7118 Å
α = 90.00°, β = 90.00°, γ = 133.24°
Atoms (fractional coordinates):
Zn 0.0000 0.0000 0.0000
Zn 0.0000 0.0000 0.5000
Zn 0.0713 0.4054 0.2500
Zn 0.4054 0.0713 0.7500
Zn 0.5946 0.9287 0.2500
Zn 0.9287 0.5946 0.7500
Ag 0.3580 0.6420 0.7500
Ag 0.6420 0.3580 0.2500
Ir 0.1703 0.8297 0.2500
Ir 0.8297 0.1703 0.7500

***

No. 3
Structure and simulated powder XRD pattern of ZrMn3Rh4 (the PBE geometry in Alexandria; Cu Kα X-rays).
Lines closer than 0.1° are merged.

Main lines, by angle (2θ from 10° to 80°):
2θ 20.13, I 2
2θ 28.61, I 7
2θ 35.23, I 1
2θ 40.91, I 100
2θ 50.68, I 2
2θ 59.23, I 16
2θ 67.08, I 3
2θ 74.50, I 32

Cell and atoms:
a = 6.2398 Å, b = 6.2398 Å, c = 6.2398 Å
α = 90.00°, β = 90.00°, γ = 90.00°
Atoms (fractional coordinates):
Zr 0.0000 0.0000 0.0000
Zr 0.5000 0.5000 0.5000
Mn 0.0000 0.0000 0.5000
Mn 0.0000 0.5000 0.0000
Mn 0.0000 0.5000 0.5000
Mn 0.5000 0.0000 0.0000
Mn 0.5000 0.0000 0.5000
Mn 0.5000 0.5000 0.0000
Rh 0.2500 0.2500 0.2500
Rh 0.2500 0.2500 0.7500
Rh 0.2500 0.7500 0.2500
Rh 0.2500 0.7500 0.7500
Rh 0.7500 0.2500 0.2500
Rh 0.7500 0.2500 0.7500
Rh 0.7500 0.7500 0.2500
Rh 0.7500 0.7500 0.7500


Diffraction record for Rb2PbO2. The X-ray diffraction stick pattern is theoretical, not measured: it uses a GGA-PBE-relaxed structure and λ = 1.5418 Å (Cu Kα).
Lines closer than 0.1° are merged.

Largest 8 diffraction maxima, in order of falling intensity, 2θ = 15–90°:
- 2θ = 27.3°, rel. 100.0
- 2θ = 27.6°, rel. 89.5
- 2θ = 29.8°, rel. 85.1
- 2θ = 26.8°, rel. 78.5
- 2θ = 27.8°, rel. 78.4
- 2θ = 33.1°, rel. 77.5
- 2θ = 32.2°, rel. 69.2
- 2θ = 16.2°, rel. 45.6

Crystal structure
a = 7.744 Å, b = 8.000 Å, c = 10.648 Å
α = 85.19°, β = 70.30°, γ = 61.32°
Element x y z (fractional)
Rb (0.064, 0.451, 0.170)
Rb (0.076, 0.933, 0.176)
Rb (0.239, 0.269, 0.493)
Rb (0.398, 0.568, 0.858)
Rb (0.602, 0.432, 0.142)
Rb (0.761, 0.731, 0.507)
Rb (0.924, 0.067, 0.824)
Rb (0.936, 0.549, 0.830)
Pb (0.306, 0.703, 0.474)
Pb (0.402, 0.059, 0.875)
Pb (0.598, 0.941, 0.125)
Pb (0.694, 0.297, 0.526)
O (0.071, 0.213, 0.978)
O (0.195, 0.598, 0.355)
O (0.342, 0.484, 0.626)
O (0.496, 0.807, 0.005)
O (0.504, 0.193, 0.995)
O (0.658, 0.516, 0.374)
O (0.805, 0.402, 0.645)
O (0.929, 0.787, 0.022)

=====

Diffraction record for Zr4Si3Sb5. The X-ray diffraction stick pattern is theoretical, not measured: it uses a GGA-PBE-relaxed structure and λ = 1.5418 Å (Cu Kα).
Lines closer than 0.1° are merged.

Largest 8 diffraction maxima, in order of falling intensity, 2θ = 15–90°:
- 2θ = 38.8°, rel. 100.0
- 2θ = 34.5°, rel. 73.4
- 2θ = 31.0°, rel. 70.8
- 2θ = 32.9°, rel. 53.4
- 2θ = 47.2°, rel. 51.0
- 2θ = 62.7°, rel. 47.2
- 2θ = 39.0°, rel. 37.7
- 2θ = 57.6°, rel. 23.7

Crystal structure
a = 3.850 Å, b = 3.850 Å, c = 17.436 Å
α = 90.00°, β = 90.00°, γ = 90.00°
Element x y z (fractional)
Zr (0.000, 0.500, 0.121)
Zr (0.000, 0.500, 0.628)
Zr (0.500, 0.000, 0.372)
Zr (0.500, 0.000, 0.879)
Si (0.000, 0.000, 0.000)
Si (0.000, 0.000, 0.500)